_What to do_
Echo the lines further down up to the one that holds "---", that line included.
_Excerpt_
No. 1
{"formula": "C5H10O", "method": "wB97M-V/def2-TZVPD", "species": ["C", "C", "C", "C", "C", "O", "H", "H", "H", "H", "H", "H", "H", "H", "H", "H"], "positions_angstrom": [[-0.8967, -0.3302, -1.1451], [0.1996, -0.0155, -0.1335], [1.4817, -0.7874, -0.4101], [0.1820, 1.4153, 0.3522], [-0.2661, 0.3224, 1.2632], [-1.6269, 0.2549, 1.5775], [-0.9019, -1.3955, -1.4120], [-1.8808, -0.0663, -0.7503], [-0.7231, 0.2445, -2.0632], [1.6991, -1.5558, 0.3391], [2.3726, -0.1696, -0.5511], [1.2999, -1.3125, -1.3449], [1.1044, 1.9332, 0.6034], [-0.5874, 2.0409, -0.0924], [0.3963, 0.1027, 2.1041], [-1.8527, -0.6811, 1.6631]], "forces_ev_per_a": [[-0.04, 0.03, 0.03], [-0.16, -0.08, -0.12], [-0.07, -0.04, -0.02], [0.02, 0.19, 0.00], [0.30, 0.02, 0.01], [-0.10, -0.19, 0.12], [-0.02, 0.19, 0.12], [0.11, 0.02, -0.15], [-0.06, -0.15, 0.09], [-0.04, 0.19, 0.04], [-0.15, 0.05, 0.15], [0.34, -0.14, -0.12], [-0.09, -0.16, -0.11], [0.06, -0.04, 0.16], [-0.06, -0.10, -0.22], [-0.05, 0.20, 0.03]], "mulliken_charge": [-1.69, 1.44, -1.43, -1.01, -0.22, -0.54, 0.45, 0.44, 0.31, 0.32, 0.33, 0.39, 0.28, 0.27, 0.33, 0.34], "charge": 0, "de_lowest_kcal_mol": 28.2, "homo_energy_ev": -9.5, "smiles": "CC1(C)C[C@H]1O", "energy_ha": -271.70768, "multiplicity": 1}

---

No. 2
_Written answer_
No. 1
{"formula": "C5H10O", "method": "wB97M-V/def2-TZVPD", "species": ["C", "C", "C", "C", "C", "O", "H", "H", "H", "H", "H", "H", "H", "H", "H", "H"], "positions_angstrom": [[-0.8967, -0.3302, -1.1451], [0.1996, -0.0155, -0.1335], [1.4817, -0.7874, -0.4101], [0.1820, 1.4153, 0.3522], [-0.2661, 0.3224, 1.2632], [-1.6269, 0.2549, 1.5775], [-0.9019, -1.3955, -1.4120], [-1.8808, -0.0663, -0.7503], [-0.7231, 0.2445, -2.0632], [1.6991, -1.5558, 0.3391], [2.3726, -0.1696, -0.5511], [1.2999, -1.3125, -1.3449], [1.1044, 1.9332, 0.6034], [-0.5874, 2.0409, -0.0924], [0.3963, 0.1027, 2.1041], [-1.8527, -0.6811, 1.6631]], "forces_ev_per_a": [[-0.04, 0.03, 0.03], [-0.16, -0.08, -0.12], [-0.07, -0.04, -0.02], [0.02, 0.19, 0.00], [0.30, 0.02, 0.01], [-0.10, -0.19, 0.12], [-0.02, 0.19, 0.12], [0.11, 0.02, -0.15], [-0.06, -0.15, 0.09], [-0.04, 0.19, 0.04], [-0.15, 0.05, 0.15], [0.34, -0.14, -0.12], [-0.09, -0.16, -0.11], [0.06, -0.04, 0.16], [-0.06, -0.10, -0.22], [-0.05, 0.20, 0.03]], "mulliken_charge": [-1.69, 1.44, -1.43, -1.01, -0.22, -0.54, 0.45, 0.44, 0.31, 0.32, 0.33, 0.39, 0.28, 0.27, 0.33, 0.34], "charge": 0, "de_lowest_kcal_mol": 28.2, "homo_energy_ev": -9.5, "smiles": "CC1(C)C[C@H]1O", "energy_ha": -271.70768, "multiplicity": 1}

---